Buying a home for the first time can be a daunting experience. It is a decision that will have a major impact on the rest of your life.

It is a big commitment, like marriage or choosing your career. The process is a lot of work and can be intimidating to novice buyers. You will be bombarded with unfamiliar terms and expenses that come out of nowhere.

Fortunately, a little research before diving in will save you a lot of trouble. Here are ten tips to ease your home buying experience.

1. Polish Your Credit Score Until It Shines

Let’s not beat around the bush. To get lenders to trust you with a mortgage loan, you need a high credit score. It is one of the key factors to qualifying for a loan.

And it is not just about getting approved for a mortgage. Your credit score will determine your interest rates and the terms of the loan. Having a high score will literally save you thousands of dollars.

Check your credit before even considering buying a home. Look for ways to improve your score and dispute any errors that might cause it to dip.

And if you need to repair your score, start the process at least six months before looking at homes to buy.

2. Know Your Limits

Your first home might be the biggest purchase of your life to date. You should know by heart how money flows in and out of your pockets every month.

You have to be realistic about what your money can buy. Don’t buy a house that is outside your price range. Starving is not fun.

And it’s not just about financial limits. For example, can you put having children on hold so you can purchase that house?

If buying a home will stretch you out too thin on a financial and personal level, it is best to wait until things are more stable.

3. Research Mortgage Options

Know which type of mortgage you can qualify for and which one suits you the best.

For example, you could get a Federal Housing Administration (FHA) loan that requires as little as 3.5% down payment. However, if you put in less than 20% (as seen in conventional loans), you are required to pay for private mortgage insurance.

You also need to choose a repayment method. For a fixed rate, the usual repayment term is 30 years. But you can opt for a shorter-term (25, 20, or 15 years) mortgage loan if you can afford higher monthly payments. You’ll pay less in interest on shorter-term repayments.

Adjustable rate mortgage will let you enjoy paying a low rate for the first few years. This will go up higher for the succeeding years, so this repayment method is riskier.

4. Save Money for Down Payment and Closing Costs

<<<
HgH6N2F2: optimized geometry, PBE.

Lattice parameters (Å, degrees): 6.1969 4.0165 5.8783 109.23 99.48 50.44
Last column: nearest neighbours and their distance in Å.
Element x y z (fractional)
Hg  0.5000  0.0000  0.5000  2 N 2.10
H  0.2333  0.4903  0.9396  1 N 1.05
H  0.9649  0.6168  0.2530  1 N 1.05
H  0.0410  0.7914  0.7425  1 N 1.05
H  0.0351  0.3832  0.7470  1 N 1.05
H  0.9590  0.2086  0.2575  1 N 1.05
H  0.7667  0.5097  0.0604  1 N 1.05
N  0.1668  0.4682  0.7637  3 H 1.05
N  0.8332  0.5318  0.2363  3 H 1.05
F  0.7747  0.3473  0.7451  3 H 1.71-1.75
F  0.2253  0.6527  0.2549  3 H 1.71-1.75

* calculated volume: 9.7 A^3/atom
* crystal system: triclinic
* space-group type: P-1 (2)
* total energy: -4.52 eV per atom
* total magnetization: 0.0 μB per formula unit
>>>

Start saving money right now if you’re planning to buy a house. This is a feat that might take you years to accomplish. It might also involve asking friends and family to chip in.

But it will be worth the effort. A big down payment will save you money in the long run. It will also reflect the strength of your offer to the seller.

In addition to the down payment, you also need to set money aside for closing costs. This is the money required to close your mortgage. The amount is usually between two to five percent of your loan.

5. Choose the Right Realtor

First time home buyers are like a naive Luke Skywalker flying out of Tatooine for the first time. Your real estate agent will guide and mentor you through the process of finding a home, just like Obi-Wan did for Luke.

It is important to hire an agent that is trustworthy, knowledgeable, and patient with your questions. And you will have a lot of questions.

Building a good working relationship with your agent is essential to find the perfect home.

6. Decide Where You Want to Live

There is a saying that home is where the heart is. Some prefer the quiet living of the countryside. Others prefer living close to the city or within the city itself.

Living in an area that doesn’t suit your lifestyle can cause grief and regret. Even if you found the perfect home, if you don’t like the location, you will eventually hate living in the home you bought.

It is better to live in a not-so-perfect house, as long as you’re surrounded by the things you love.

7. Study the Neighborhood

Researching the area or district of your future home is a big part of the buying process. Even if you don’t have kids, you have to know where the schools are. Being in a school district, or having a strong school within the district, can drive the prices of homes up by as much as 10%.

It is also a good idea to look at the local crime statistics.

Other places of interest are hospitals, restaurants, and grocery stores.

8. Absorb Details like a Sponge During the Open House

At the open house, you’ll have to channel your inner Sherlock Holmes. Don’t miss any details about the condition of the house. Look for signs of mold, stains, or water damage.

Ask questions but do not interrogate the seller. Inquire about the age of the place and of key systems like the heating and air conditioning.

This is also a good opportunity to check out your potential neighbors.

If you have more questions but lack the time, don’t hesitate to schedule another visit.

9. Compromises Are Expected When Buying a Home

There are things that you have to be firm on, and there are some that you have to let go. It is rare to find the perfect house, and even rarer to find a perfect one within your budget.

Don’t get caught up on the little things like paint color or carpets. You can always do renovations to fit the image of your perfect home.

10. Make an Offer

This is the last step to buying a home. Make a strong offer to win your dream home.

Unfortunately, unlike the Godfather, your initial offer can be refused. That’s okay, you can renegotiate. But avoid getting caught in a bidding war that will sink your finances.

Are You Looking for Your First Home in Augusta?

We have the experience, resources, and credentials to help you find and own your dream home. Contact us for more information.